_Request_
Type out the part of the listing underneath that starts with the line with "ωB97M-V/def2-TZVPD" and stops after the one with "e_homo_ev", please.

_Given_
-- begin --
(1)
{
  "formula": "C42H42Ge2NOPReTe",
  "method": "ωB97M-V/def2-TZVPD",
  "homo_lumo_gap_ev": [6.588, 6.378],
  "total_charge": 1,
  "e_homo_ev": [-10.189, -10.247],
  "elements": ["Re", "O", "N", "C", "C", "C", "C", "C", "C", "C", "P", "C", "C", "C", "C", "C", "C", "C", "C", "C", "C", "C", "C", "H", "H", "H", "H", "H", "H", "H", "H", "H", "H", "H", "H", "H", "H", "H", "H", "Te", "C", "Ge", "C", "C", "C", "H", "H", "H", "H", "H", "H", "H", "H", "H", "H", "H", "C", "Ge", "C", "C", "C", "C", "C", "C", "C", "C", "C", "C", "C", "C", "C", "C", "C", "C", "C", "C", "H", "H", "H", "H", "H", "H", "H", "H", "H", "H", "H", "H", "H", "H", "H"],
  "xyz": [[-1.464, -0.690, 0.477], [-3.804, -2.101, -1.049], [-3.341, -1.305, -0.069], [-4.175, -1.169, 0.895], [-3.963, -0.243, 2.018], [-4.645, -0.575, 3.200], [-4.581, 0.235, 4.310], [-3.859, 1.431, 4.261], [-3.210, 1.803, 3.100], [-3.209, 0.971, 1.971], [-2.364, 1.479, 0.426], [-3.692, 2.454, -0.378], [-4.950, 1.868, -0.558], [-6.017, 2.620, -1.024], [-5.843, 3.969, -1.324], [-4.600, 4.556, -1.153], [-3.526, 3.806, -0.683], [-0.978, 2.614, 0.685], [-0.412, 3.138, -0.483], [0.723, 3.942, -0.411], [1.312, 4.197, 0.821], [0.785, 3.629, 1.974], [-0.352, 2.833, 1.909], [-3.054, -2.201, -1.640], [-5.076, -1.775, 0.858], [-5.232, -1.490, 3.231], [-5.114, -0.045, 5.212], [-3.822, 2.081, 5.133], [-2.707, 2.765, 3.052], [-5.110, 0.823, -0.333], [-6.990, 2.156, -1.146], [-6.679, 4.557, -1.689], [-4.461, 5.608, -1.376], [-2.571, 4.288, -0.540], [-0.857, 2.918, -1.453], [1.147, 4.361, -1.320], [2.191, 4.833, 0.881], [1.269, 3.798, 2.931], [-0.733, 2.380, 2.816], [-0.078, -1.124, 2.621], [-2.067, -2.819, -3.809], [-0.708, -2.566, -2.424], [1.029, -2.818, -3.229], [-0.951, -3.939, -1.033], [-0.961, -0.769, -1.634], [-2.028, -3.857, -4.153], [-1.835, -2.167, -4.656], [-3.096, -2.607, -3.495], [0.971, -3.642, -3.953], [1.773, -3.072, -2.468], [1.356, -1.908, -3.753], [-0.014, -4.497, -0.909], [-1.746, -4.649, -1.288], [-1.190, -3.491, -0.071], [-1.790, -0.263, -2.135], [-0.075, -0.178, -1.833], [0.474, -0.822, 0.632], [2.402, -0.927, 0.192], [2.809, -0.386, -1.613], [2.309, 0.834, -2.092], [2.653, 1.289, -3.362], [3.495, 0.524, -4.167], [3.993, -0.690, -3.700], [3.659, -1.137, -2.424], [3.297, 0.360, 1.375], [3.874, 1.532, 0.876], [4.613, 2.376, 1.708], [4.768, 2.071, 3.054], [4.203, 0.906, 3.567], [3.485, 0.053, 2.731], [3.087, -2.658, 0.667], [2.279, -3.752, 0.981], [2.852, -4.969, 1.343], [4.236, -5.099, 1.397], [5.050, -4.011, 1.098], [4.479, -2.796, 0.734], [1.646, 1.433, -1.467], [2.277, 2.246, -3.721], [3.759, 0.871, -5.162], [4.640, -1.290, -4.333], [4.063, -2.080, -2.065], [3.766, 1.791, -0.170], [5.080, 3.266, 1.299], [5.348, 2.725, 3.698], [4.344, 0.646, 4.612], [3.092, -0.873, 3.138], [1.198, -3.667, 0.942], [2.216, -5.816, 1.585], [4.680, -6.051, 1.671], [6.127, -4.105, 1.152], [5.123, -1.947, 0.513]],
-- stop --

_Reply_
  "method": "ωB97M-V/def2-TZVPD",
  "homo_lumo_gap_ev": [6.588, 6.378],
  "total_charge": 1,
  "e_homo_ev": [-10.189, -10.247],